To do
Could you echo the whole of the block further below verbatim?

File
- - -
(1)
Compound: Mg2TaCu
Source: Alexandria
Functional: PBE
Structure: optimized geometry

Geometry as CIF:
```
data_Mg2TaCu
_chemical_formula_sum 'Mg2 Ta1 Cu1'
_cell_length_a 4.0086
_cell_length_b 4.0086
_cell_length_c 4.2884
_cell_angle_alpha 90.00
_cell_angle_beta 90.00
_cell_angle_gamma 90.00
_space_group_name_H-M_alt 'P 4/m m m'
_space_group_IT_number 123
_space_group_name_Hall '-P 4 2'
loop_
_atom_site_label
_atom_site_fract_x
_atom_site_fract_y
_atom_site_fract_z
Mg1 0.0000 0.5000 0.0000
Ta1 0.0000 0.0000 0.5000
Cu1 0.5000 0.5000 0.5000
```

Total magnetization, μB/f.u.: 0.00
E above lowest polymorph, meV per atom: 246
ΔH_f (0 K), eV/atom: 0.338

---

(2)
Compound: KInPb
Source: Alexandria
Functional: PBE
Structure: optimized geometry

Geometry as CIF:
```
data_KInPb
_chemical_formula_sum 'K4 In4 Pb4'
_cell_length_a 5.3518
_cell_length_b 8.7271
_cell_length_c 8.8792
_cell_angle_alpha 90.00
_cell_angle_beta 90.00
_cell_angle_gamma 90.00
_space_group_name_H-M_alt 'I m a 2'
_space_group_IT_number 46
loop_
_space_group_symop_operation_xyz
'x,y,z'
'-x,-y,z'
'-x+1/2,y,z'
'x+1/2,-y,z'
'x+1/2,y+1/2,z+1/2'
'-x+1/2,-y+1/2,z+1/2'
'-x,y+1/2,z+1/2'
'x,-y+1/2,z+1/2'
loop_
_atom_site_label
_atom_site_fract_x
_atom_site_fract_y
_atom_site_fract_z
K1 0.2500 0.1820 0.0000
In1 0.2500 0.5791 0.8319
Pb1 0.2500 0.6013 0.1796
```

Total magnetization, μB/f.u.: 0.00
ΔH_f (0 K), eV/atom: -0.163

---

(3)
Compound: SiC3
Source: Alexandria
Functional: PBE
Structure: optimized geometry

Geometry as CIF:
```
data_SiC3
_chemical_formula_sum 'Si2 C6'
_cell_length_a 3.3416
_cell_length_b 6.8114
_cell_length_c 3.4688
_cell_angle_alpha 90.00
_cell_angle_beta 90.00
_cell_angle_gamma 90.00
_space_group_name_H-M_alt 'C m m m'
_space_group_IT_number 65
_space_group_name_Hall '-C 2 2'
loop_
_atom_site_label
_atom_site_fract_x
_atom_site_fract_y
_atom_site_fract_z
Si1 0.0000 0.0000 0.0000
C1 0.0000 0.5000 0.0000
C2 0.2500 0.2500 0.5000
```

Raw formation energy, meV/atom: 2755
Total magnetization, μB/f.u.: 0.00
E above lowest polymorph, meV per atom: 2257

---

(4)
Compound: SrCuIr2
Source: Alexandria
Functional: PBE
Structure: optimized geometry

Geometry as CIF:
```
data_SrCuIr2
_chemical_formula_sum 'Sr2 Cu2 Ir4'
_cell_length_a 8.8885
_cell_length_b 2.9941
_cell_length_c 5.9766
_cell_angle_alpha 90.00
_cell_angle_beta 100.45
_cell_angle_gamma 90.00
_space_group_name_H-M_alt 'C 1 m 1'
_space_group_IT_number 8
loop_
_space_group_symop_operation_xyz
'x,y,z'
'x,-y,z'
'x+1/2,y+1/2,z'
'x+1/2,-y+1/2,z'
loop_
_atom_site_label
_atom_site_fract_x
_atom_site_fract_y
_atom_site_fract_z
Sr1 0.0000 0.0000 0.0000
Cu1 0.2262 0.0000 0.6862
Ir1 0.2572 0.5000 0.3591
Ir2 0.4959 0.0000 0.4783
```

Total magnetization, μB/f.u.: 0.00
E above lowest polymorph, meV per atom: 19
ΔH_f (0 K), eV/atom: 0.209

---

(5)
Compound: BaGe3B
Source: Alexandria
Functional: PBE
Structure: optimized geometry

Geometry as CIF:
```
data_BaGe3B
_chemical_formula_sum 'Ba1 Ge3 B1'
_cell_length_a 5.8139
_cell_length_b 5.8139
_cell_length_c 5.8139
_cell_angle_alpha 90.00
_cell_angle_beta 90.00
_cell_angle_gamma 90.00
_space_group_name_H-M_alt 'P m -3 m'
_space_group_IT_number 221
_space_group_name_Hall '-P 4 2 3'
loop_
_atom_site_label
_atom_site_fract_x
_atom_site_fract_y
_atom_site_fract_z
Ba1 0.0000 0.0000 0.0000
Ge1 0.0000 0.0000 0.5000
B1 0.5000 0.5000 0.5000
```

Total magnetization, μB/f.u.: 0.00
E above lowest polymorph, meV per atom: 1836
ΔH_f (0 K), eV/atom: 2.192

---

(6)
Compound: LaPr7Nd4
Source: Alexandria
Functional: PBE
Structure: optimized geometry

Geometry as CIF:
```
data_LaPr7Nd4
_chemical_formula_sum 'La1 Pr7 Nd4'
_cell_length_a 6.4766
_cell_length_b 7.4563
_cell_length_c 9.2541
_cell_angle_alpha 89.97
_cell_angle_beta 76.54
_cell_angle_gamma 89.99
_space_group_name_H-M_alt 'P -1'
_space_group_IT_number 2
loop_
_space_group_symop_operation_xyz
'x,y,z'
'-x,-y,-z'
loop_
_atom_site_label
_atom_site_fract_x
_atom_site_fract_y
_atom_site_fract_z
La1 0.0000 0.0000 0.0000
- - -

Completed
(1)
Compound: Mg2TaCu
Source: Alexandria
Functional: PBE
Structure: optimized geometry

Geometry as CIF:
```
data_Mg2TaCu
_chemical_formula_sum 'Mg2 Ta1 Cu1'
_cell_length_a 4.0086
_cell_length_b 4.0086
_cell_length_c 4.2884
_cell_angle_alpha 90.00
_cell_angle_beta 90.00
_cell_angle_gamma 90.00
_space_group_name_H-M_alt 'P 4/m m m'
_space_group_IT_number 123
_space_group_name_Hall '-P 4 2'
loop_
_atom_site_label
_atom_site_fract_x
_atom_site_fract_y
_atom_site_fract_z
Mg1 0.0000 0.5000 0.0000
Ta1 0.0000 0.0000 0.5000
Cu1 0.5000 0.5000 0.5000
```

Total magnetization, μB/f.u.: 0.00
E above lowest polymorph, meV per atom: 246
ΔH_f (0 K), eV/atom: 0.338

---

(2)
Compound: KInPb
Source: Alexandria
Functional: PBE
Structure: optimized geometry

Geometry as CIF:
```
data_KInPb
_chemical_formula_sum 'K4 In4 Pb4'
_cell_length_a 5.3518
_cell_length_b 8.7271
_cell_length_c 8.8792
_cell_angle_alpha 90.00
_cell_angle_beta 90.00
_cell_angle_gamma 90.00
_space_group_name_H-M_alt 'I m a 2'
_space_group_IT_number 46
loop_
_space_group_symop_operation_xyz
'x,y,z'
'-x,-y,z'
'-x+1/2,y,z'
'x+1/2,-y,z'
'x+1/2,y+1/2,z+1/2'
'-x+1/2,-y+1/2,z+1/2'
'-x,y+1/2,z+1/2'
'x,-y+1/2,z+1/2'
loop_
_atom_site_label
_atom_site_fract_x
_atom_site_fract_y
_atom_site_fract_z
K1 0.2500 0.1820 0.0000
In1 0.2500 0.5791 0.8319
Pb1 0.2500 0.6013 0.1796
```

Total magnetization, μB/f.u.: 0.00
ΔH_f (0 K), eV/atom: -0.163

---

(3)
Compound: SiC3
Source: Alexandria
Functional: PBE
Structure: optimized geometry

Geometry as CIF:
```
data_SiC3
_chemical_formula_sum 'Si2 C6'
_cell_length_a 3.3416
_cell_length_b 6.8114
_cell_length_c 3.4688
_cell_angle_alpha 90.00
_cell_angle_beta 90.00
_cell_angle_gamma 90.00
_space_group_name_H-M_alt 'C m m m'
_space_group_IT_number 65
_space_group_name_Hall '-C 2 2'
loop_
_atom_site_label
_atom_site_fract_x
_atom_site_fract_y
_atom_site_fract_z
Si1 0.0000 0.0000 0.0000
C1 0.0000 0.5000 0.0000
C2 0.2500 0.2500 0.5000
```

Raw formation energy, meV/atom: 2755
Total magnetization, μB/f.u.: 0.00
E above lowest polymorph, meV per atom: 2257

---

(4)
Compound: SrCuIr2
Source: Alexandria
Functional: PBE
Structure: optimized geometry

Geometry as CIF:
```
data_SrCuIr2
_chemical_formula_sum 'Sr2 Cu2 Ir4'
_cell_length_a 8.8885
_cell_length_b 2.9941
_cell_length_c 5.9766
_cell_angle_alpha 90.00
_cell_angle_beta 100.45
_cell_angle_gamma 90.00
_space_group_name_H-M_alt 'C 1 m 1'
_space_group_IT_number 8
loop_
_space_group_symop_operation_xyz
'x,y,z'
'x,-y,z'
'x+1/2,y+1/2,z'
'x+1/2,-y+1/2,z'
loop_
_atom_site_label
_atom_site_fract_x
_atom_site_fract_y
_atom_site_fract_z
Sr1 0.0000 0.0000 0.0000
Cu1 0.2262 0.0000 0.6862
Ir1 0.2572 0.5000 0.3591
Ir2 0.4959 0.0000 0.4783
```

Total magnetization, μB/f.u.: 0.00
E above lowest polymorph, meV per atom: 19
ΔH_f (0 K), eV/atom: 0.209

---

(5)
Compound: BaGe3B
Source: Alexandria
Functional: PBE
Structure: optimized geometry

Geometry as CIF:
```
data_BaGe3B
_chemical_formula_sum 'Ba1 Ge3 B1'
_cell_length_a 5.8139
_cell_length_b 5.8139
_cell_length_c 5.8139
_cell_angle_alpha 90.00
_cell_angle_beta 90.00
_cell_angle_gamma 90.00
_space_group_name_H-M_alt 'P m -3 m'
_space_group_IT_number 221
_space_group_name_Hall '-P 4 2 3'
loop_
_atom_site_label
_atom_site_fract_x
_atom_site_fract_y
_atom_site_fract_z
Ba1 0.0000 0.0000 0.0000
Ge1 0.0000 0.0000 0.5000
B1 0.5000 0.5000 0.5000
```

Total magnetization, μB/f.u.: 0.00
E above lowest polymorph, meV per atom: 1836
ΔH_f (0 K), eV/atom: 2.192

---

(6)
Compound: LaPr7Nd4
Source: Alexandria
Functional: PBE
Structure: optimized geometry

Geometry as CIF:
```
data_LaPr7Nd4
_chemical_formula_sum 'La1 Pr7 Nd4'
_cell_length_a 6.4766
_cell_length_b 7.4563
_cell_length_c 9.2541
_cell_angle_alpha 89.97
_cell_angle_beta 76.54
_cell_angle_gamma 89.99
_space_group_name_H-M_alt 'P -1'
_space_group_IT_number 2
loop_
_space_group_symop_operation_xyz
'x,y,z'
'-x,-y,-z'
loop_
_atom_site_label
_atom_site_fract_x
_atom_site_fract_y
_atom_site_fract_z
La1 0.0000 0.0000 0.0000